(The author is editor-at-large for finance and markets at Reuters News. Any views expressed here are his own)

LONDON, Jan 15 (Reuters) - There aren't many years you can effectively write off economic growth forecasts for a quarter and leave markets unperturbed - but welcome to 2021.

Investors are once again training their sights beyond second and third waves of the pandemic even as they busily mark down first-quarter growth and earnings assumptions and cross their collective fingers and toes that often extremely hesitant vaccine rollouts do eventually work by midyear.

"It's darkest before dawn" is the mantra from many economists and politicians but there's more than a few nerves about just how dark and whether the light will be quite as bright as first thought.

On Wednesday, the World Health Organization warned that a second year of the pandemic "could even be tougher given the transmission dynamics".

These calculated molecules were left in the piece by mistake =
'''
# C4H3HgLiMgO2

C4H3HgLiMgO2 as an isolated structure in a non-equilibrium geometry (wB97M-V/def2-TZVPD, OMol25).

Values from the calculation:
lowest unoccupied orbital energy (alpha / beta) = -1.288 / -1.389 eV
E = -665.44930 Eh
gap between HOMO and LUMO (alpha / beta) = 0.1811 / 0.2109 Ha
relative energy (zero: lowest compared OMol25 entry of this formula, charge and spin) = 36.2 kcal/mol
expectation value of S² = 2.055

Geometry as ORCA input:
```
! wB97M-V def2-TZVPD RIJCOSX def2/J DEFGRID3
* xyz 0 3
C -1.433 0.808 -0.598
O -2.031 1.495 0.306
Mg 1.655 1.135 -1.030
Li -2.828 1.015 1.815
H 0.072 0.250 0.290
C -0.618 -0.311 -0.321
C 0.334 -1.468 -0.537
C 1.685 -1.349 -0.340
O 2.612 -0.676 -1.150
Hg 0.442 1.190 2.224
H -2.085 -0.154 -1.098
H 2.195 -1.934 0.440
*
```

=====

1.
{
  "formula": "C32H52N7O3P2RuS4",
  "method": "the ωB97M-V functional and the def2-TZVPD basis",
  "species": ["Ru", "C", "S", "C", "S", "N", "N", "C", "C", "C", "C", "C", "C", "N", "H", "H", "H", "H", "H", "H", "H", "H", "N", "C", "C", "C", "C", "C", "C", "S", "O", "O", "N", "C", "S", "C", "C", "N", "H", "H", "H", "H", "H", "H", "H", "H", "C", "P", "C", "C", "O", "H", "H", "H", "H", "H", "H", "H", "H", "H", "C", "C", "C", "C", "P", "N", "C", "C", "C", "C", "C", "C", "C", "C", "H", "H", "H", "H", "H", "H", "H", "H", "H", "H", "H", "H", "H", "H", "H", "H", "H", "H", "H", "H", "H", "H", "H", "H", "H", "H", "H"],
'''

And with many of Europe's biggest economies locking down hard again amid new waves and new strains of the virus over the new year period, the slow trajectory of mass vaccination through mid-year and beyond make the new dawn seem ever more distant.

Italy's state of emergency looks set to persist into April, Germany is debating whether to keep stiff restrictions in place through the first quarter too, and in echoes of last March Britain has effectively shut down its economy again until at least mid February.

The worldwide death toll from COVID-19 is fast approaching 2 million with more than 90 million recorded cases of infection. Then there's the virus variants from Britain, South Africa and now Brazil, reported to be far more contagious and spreading fast.

Even China - first in and out of the pandemic last year - is seeing a rise in new infections and shutting down selected cities and regions yet again this month.

For investment firms, optimism surrounding vaccines, post-election U.S. fiscal spending after a Democrat sweep of Congress and the White House and persistent central bank support foster long-running recovery bets despite the still raging, shape-shifting virus. World stocks and bonds remain at record highs.

But forecast downgrades for the first three months of the year are also coming thick and fast - even as faith in the coming 'boom' persists.


JPMorgan slashed Italy's first quarter gross domestic product growth forecast to zero this week. It expects euro zone GDP to contract at a 1% annualized rate over the same period, with a whopping 9.5% contraction in Britain.

Deutsche Bank economist Sanjay Raja also saw a double-dip UK recession in Q1 of some 1.4% year-on-year and said that despite "light at the end of the tunnel" from the vaccine rollout, the recovery would be bumpy and further hampered by the realities of Brexit on trade and migration from Europe.

But it could get worse, he said.

"Given the emerging scale of the third wave, our initial expectations may be too optimistic," Raja told clients, adding there could be additional downside of up to 2 percentage points.

"Should restrictions extend beyond mid-February, there will be a more pronounced impact on the growth outlook."

Consensus forecasts for European annual corporate profit growth north of 40% for the first quarter look optimistic to say the least - even if that bounce is just shuffled to subsequent quarters.

New year gloom is partly offset by the fact that 2020's global GDP outcome was not as bad as many initially feared and economists assume companies and consumers are coping better with restrictions this time around. Citi's economic surprise index for the G10 major economies has been consistently positive since June and for emerging economies since August.

Germany's economy managed to avoid shrinking in the fourth quarter despite new lockdowns, for example. And even though Commerzbank expects a Q1 contraction there, it's sticking with full-year forecasts of about 4.5% growth.

Despite its dire Q1 predictions, JPMorgan only trimmed its full year forecasts for the euro zone to 5.5% from 5.8%.

The United States, distracted by politics for a couple of months, appears to have mainly avoided new lockdowns - even if mobility indicators dropped again in December, according to Barclays.

Faith in the coming boom seems almost unshakeable.

Goldman Sachs and Morgan Stanley stuck by their forecasts for a 6.4% rebound in world growth this year - more than compensating for the 3.7% slump in 2020 and both above the 5.3% median call by private forecasters.

"We expect the global economy to enter the next phase of its V-shaped recovery by reaching its pre-Covid-19 GDP path by 2Q21," said Morgan Stanley's Chetan Ahya, adding he expects the sharp rebound from March/April onwards.

HSBC too reckons: "The tunnel may be deeper and darker, but there is light at the end of it."

And yet the longer it all drags on, the more uneasy investors get about so-called economic "scarring" - long-term unemployment, corporate balance sheet problems and pent-up debt defaults in certain sectors, economic policy fatigue, job insecurity and more persistent pre-cautionary cash holdings among household and companies.

Policy activism will keep markets afloat but as Carmignac managing director Didier Saint George said this week: "the return to normal somehow keeps receding from view."

(by Mike Dolan, Twitter: @reutersMikeD. Charts by Morgan Stanley, Thyagu Adinarayan and Ritvik Carvalho; Editing by Kirsten Donovan)